It’s a Crisis??? Not Anymore!! – Part 2

You know that feeling you get when you’re stuck between a rock and a hard place, and you don’t know whether to fall down or run away?? When something you planned out so carefully crashes into the brick walls of REALITY so hard it’s astonishing—and not in a good way?? It can feel like you’re trapped in a maze—with nothing but dead ends and false turns.
Now you know exactly what that is:
it’s a Mental Maze.
And you know exactly how to vaporize it and walk right out, using your breath and your attention.
Doesn’t that feel sooooo good???
Now that you’re breathing and you have your brain back…
What’s Next?
Odds are high that you got caught in a Mental Maze in the first place because you wanted something—and then you got stuck. Now that you’re outta there, you still want something.
When that happens to Cindy or me, we’ve found that getting clarity about what we want and what we want to do about it is #1 for us. That’s where our game-changing strategy of using a Labyrinth comes in.
Here’s what’s so gorgeous about a Labyrinth: You can “walk it” in real time—or you can instantly IMAGINE walking it, anytime, anywhere. Cindy & I do this in three steps (more about that in a minute).
The 411
Before I share our three steps with you, it’s important to distinguish a labyrinth from a maze, because we found out that a lot of people have never experienced a labyrinth before.
Every kind of Maze = Set up to TRAP YOU
Either form of Labyrinth = Set up to NOURISH YOU
The outcome of a Maze = Confusion and Fear
The outcome of a Labyrinth = Clarity and Peace
It’s also true that seeing a labyrinth in “real life” will give you a deeper experience of it than any thousands of words I could write. To make that easier for you this instant, here’s the video clip we found—Cindy created a link for you: Youtube video
Here’s what you’ll see in that video:

There are three parts to any labyrinth walk—either virtual or in person: first, you walk slowly and purposefully forward as you WIND IN around the curves and swirls to the center—then you spend some time in the CENTER—then you WIND BACK OUT through those curves and swirls to the world outside (typically with a new clarity and a deeper sense of purpose).
  • As you slowly WIND IN, your mission along the way is to purposefully let go of or put down all the things that no longer serve you (these can be as simple as habits or as deep as beliefs—because there’s no one right way for everyone). What’s important here is that you simply pay attention to yourself—THAT’S where the magic happens.
  • Then when you get to the CENTER, your mission is to simply BE with yourself—listen to that “still, small voice inside you” because that’s where all your answers live.
  • Once you’re ready to WIND BACK OUT, you’ll likely find that you’re no longer the same person who came in—you’ve put down all those things that are no longer YOU and replaced them with a newfound clarity about who you are and what you want. As you step out of the labyrinth and back into your world, you have everything you need to integrate what you’ve discovered and get into action to get exactly what you want.
Meanwhile, here are the Top 3 things that make a Labyrinth so powerful for getting the clarity you need:
  1. Every step you take in a Labyrinth is PURPOSEFUL—because you’re alone with yourself.
  2. You are ALWAYS headed to your destination—that CLARITY you find at the CENTER—no matter how many turns you take to get there.
  3. There are NO DEAD ENDS—even if you want to stop along the way, you will always pick up exactly where you left off.
RU Ready? Here We Go!
For walking your virtual labyrinth, it’s best to take yourself to a quiet nourishing space where you won’t be disturbed—and if you can get outside in nature, that’s even better. No matter where you go, it’s most important that it’s quiet, that you feel safe, and that you’re confident you won’t be disturbed.
Now settle into your seat and inhale slowly and deeply—then exhale for twice as long. Do this for several rounds, until you can feel the peacefulness that this practice of focused breathing spreads throughout your body. Now imagine your labyrinth until you can visualize it in your mind and you’re ready to trace it with your (pointer)finger.

********
No. 1
Pr3NdTh: simulated powder diffraction line list (CuKα), based on a cell relaxed with PBE.
Lines closer than 0.1° are merged.

Main lines, by angle (2θ from 10° to 80°):
d/Å  intensity  hkl
3.117  21  1 0 2
3.036  73  1 0 3
3.002  67  0 0 10
2.933  100  1 0 4
2.687  87  1 0 6
2.558  39  1 0 7
1.839  50  1 1 0
1.779  21  1 0 14
1.617  20  1 0 16
1.568  59  1 1 10

Structure:
```
Pr3NdTh
1.0
3.6789 0.0000 0.0000
-1.8394 3.1860 0.0000
0.0000 0.0000 30.0206
Pr Nd Th
6 2 2
Direct
0.0000 0.0000 0.0000
0.0000 0.0000 0.5000
0.3333 0.6667 0.1047
0.3333 0.6667 0.7961
0.6667 0.3333 0.2961
0.6667 0.3333 0.6047
0.3333 0.6667 0.4012
0.6667 0.3333 0.9012
0.0000 0.0000 0.2003
0.0000 0.0000 0.7003
```

No. 2
Er2Si4Ni3Rh: simulated powder diffraction line list (CuKα), based on a cell relaxed with PBE.
Lines closer than 0.1° are merged.

Main lines, by angle (2θ from 10° to 80°):
d/Å  intensity  hkl
3.651  35  1 0 1
2.787  19  1 1 0
2.499  69  1 0 3
2.416  100  1 1 2
1.971  47  2 0 0
1.740  25  1 0 5
1.547  31  2 1 3
1.393  15  2 2 0
1.304  19  2 1 5
1.207  27  3 1 2

Structure:
```
Er2Si4Ni3Rh
1.0
3.9411 0.0000 0.0000
0.0000 3.9411 0.0000
0.0000 0.0000 9.6944
Er Si Ni Rh
2 4 3 1
Direct
0.0000 0.5000 0.2418
0.5000 0.0000 0.7582
0.0000 0.0000 0.0000
0.0000 0.5000 0.6392
0.5000 0.0000 0.3608
0.5000 0.5000 0.0000
0.0000 0.5000 0.8752
0.5000 0.0000 0.1248
0.5000 0.5000 0.5000
0.0000 0.0000 0.5000
```

=====

No. 1
Structure and theoretical X-ray diffraction stick pattern of CrRu (the PBE geometry in the Materials Project; Cu Kα, 1.54184 Å).
Peak positions follow from Bragg's law for the DFT cell and can differ from measured ones.

Atomic structure:
```
CrRu
1.0
2.6637 0.0000 0.0000
-1.3319 2.3069 0.0000
0.0000 0.0000 4.2180
Cr Ru
1 1
Direct
0.0000 0.0000 0.0000
0.6667 0.3333 0.5000
```

Main lines, by intensity (5° ≤ 2θ ≤ 70°):
Position (°2θ)	I_rel
44.8	100.0
39.0	31.5
42.9	24.5
59.4	18.0
21.1	15.5
66.5	0.8



No. 2
Structure and theoretical X-ray diffraction stick pattern of K2LiCeCl6 (the PBE geometry in the Materials Project; Cu Kα, 1.54184 Å).
Peak positions follow from Bragg's law for the DFT cell and can differ from measured ones.

Atomic structure:
```
K2LiCeCl6
1.0
0.0000 5.2999 5.2999
5.2999 0.0000 5.2999
5.2999 5.2999 0.0000
K Li Ce Cl
2 1 1 6
Direct
0.2500 0.2500 0.2500
0.7500 0.7500 0.7500
0.0000 0.0000 0.0000
0.5000 0.5000 0.5000
0.2422 0.2422 0.7578
0.2422 0.7578 0.2422
0.2422 0.7578 0.7578
0.7578 0.2422 0.2422
0.7578 0.2422 0.7578
0.7578 0.7578 0.2422
```

Main lines, by intensity (5° ≤ 2θ ≤ 70°):
Position (°2θ)	I_rel
33.8	100.0
14.5	80.1
27.9	64.9
48.6	64.8
23.7	61.0
16.7	55.7
37.0	37.2
41.7	27.4
38.0	26.8
29.2	25.7



No. 3
Structure and theoretical X-ray diffraction stick pattern of LiTaF6 (the PBE geometry in the Materials Project; Cu Kα, 1.54184 Å).
Peak positions follow from Bragg's law for the DFT cell and can differ from measured ones.

Atomic structure:
```
LiTaF6
1.0
2.7335 1.5782 4.5911
-2.7335 1.5782 4.5911
0.0000 -3.1564 4.5911
Li Ta F
********
Whenever you’re ready, concentrate only on yourself as you take each of these three steps, one-by-one:
  1. Use your finger to trace the path to WIND IN. (Some of us could feel our feet on the path as we used our fingers—others of us couldn’t. However you experience it is perfect for YOU.) As you move your attention along the path, allow yourself to let go of whatever comes up for you—this is where you’ll get feelings, or impressions of what’s ready to be left behind as you move to your CENTER. See what happens if you simply take everything that happens at face value—because this is YOU talking to YOU right now—and you are always invited to listen. (We did this part in our class in 90 seconds—although you can take as long as you like—you can even set a timer for yourself. The more you do it, the more creative you’ll get!)
  2. The CENTER is where you’re headed—and it’s important to note here that you don’t actually have to get to the center for this to work. Wherever you’re ready to stop becomes your personal CENTER—and your only mission here is to stop here and BE with yourself. Allow yourself to feel what it’s like to STOP—and imagine that there’s something important waiting for you that will emerge as soon as you do. Expect it. (In our class, the kinds of experiences that emerged ranged from someone having a conversation with their Wise Guide—to someone else simply feeling so peaceful here they were surprised.) There is no one right way—this is simply YOU meeting YOURSELF. In the 90 seconds we spent here in class, everyone experienced something that both astonished and nourished them.
  3. Once you’re finished in the CENTERr—which we proved can take less than 2 minutes—you’re ready to WIND BACK OUT, simply by retracing your steps with your fingerAs you leave, take with you whatever you experienced. In our class, I encouraged everyone to imagine they could gather up this experience in their arms like a treasure and place it in their heart—where it will always live, as long as you need it. As you imagine completing this winding out back into your world, count out your last three steps to bring yourself fully back to your everyday reality: “Three…Two…One…”
Before You Go…
Before you get back into whatever’s waiting for you in your life, take a few moments to consciously integrate your Labyrinth Experience by asking yourself
Cindy’s 2 Focused Questions:
  1. Where are you now?
  2. What’s possible for you now?
Capture the Clarity you found at the Center of your Personal Labyrinth by writing it down.
Then there’s only one thing left to ask yourself before you get into action to get whatever you want:
“What’s the next smallest step I can take to get moving?”
(Because now you know what you want and what it takes to get it!)
If you feel like it would be more useful—or even fun—to try this out with me, you’re always invited to Schedule A Free, No-Strings-Attached Discovery Session. Head over to my homepage at www.maiabeatty,com whenever you like.
Until our next conversation—
Spend some Quality Time with YOU!